RBD Engineers Pvt Ltd

RBD Engineers Pvt Ltd
lean manufacturing practice
lean manufacturing practices
lean manufacturing best practice
lean manufacturing principles to practice

Overcoming Challenges in Lean Manufacturing: A Case Study of RBD Engineers Journey towards Work Safety and Space Management, Yielding Over 3,00,000 Improvements


RBD Engineers, a manufacturing firm, embarked on a lean manufacturing journey to improve overall efficiency and productivity. However, during the implementation process, they faced challenges related to work safety and space management. This case study investigates the specific issues faced by RBD Engineers and the strategies employed to overcome them, resulting in substantial improvements amounting more than 3,00,000 improvements in company phases wise.

Challenges Faced by Client

  1. Work Safety: RBD Engineers encountered several work safety challenges during the lean manufacturing implementation. These challenges included:
    • Lack of Safety Training: Employees were unfamiliar with proper safety protocols and lacked adequate training to identify and mitigate potential hazards.
    • Inadequate Safety Equipment: Insufficient availability of safety equipment, such as protective gear and guards, exposed employees to unnecessary risks.
    • Non-Compliance with Safety Standards: The company struggled with non-compliance with safety regulations, leading to potential accidents and injuries.
  2. Space Management: Space management presented its own set of challenges for RBD Engineers:
    • Limited Space: The company faced difficulties in effectively utilizing the available space, resulting in congestion, inefficient workflows, and reduced productivity.
    • Inefficient Layout: The existing layout hindered smooth material flow and created bottlenecks, causing delays and impacting overall efficiency.
    • Poor Organization: Disorganized work areas and storage systems made it challenging to locate tools, materials, and equipment, resulting in wasted time and decreased productivity.

Implementation Approach

  1. Assessment and Analysis: RBD Engineers initiated the implementation approach by conducting a comprehensive assessment and analysis of their existing work safety and space management issues. This involved:
    • Work Safety Assessment: A thorough evaluation of current work safety practices, identification of potential hazards, and an assessment of employee safety training and compliance.
    • Space Management Analysis: Detailed analysis of the existing workspace layout, material flow, storage systems, and identification of bottlenecks and inefficiencies.
  2. Identification of Key Areas for Improvement: Based on the assessment and analysis, RBD Engineers identified the specific areas requiring improvement in work safety and space management. These areas included:
    • Work Safety: Issues related to safety training gaps, inadequate safety equipment, and non-compliance with safety regulations.
    • Space Management: Challenges arising from limited space utilization, inefficient layout, and disorganized storage systems.
  3. Development of Action Plans: RBD Engineers formulated action plans to address the identified areas for improvement. These plans included:
    • Work Safety Action Plan: Creation of a comprehensive safety training program, procurement of necessary safety equipment, and establishment of safety compliance protocols.
    • Space Management Action Plan: Redesign of the workspace layout to optimize material flow, implementation of efficient storage systems, and utilization of visual management techniques.
  4. Implementation and Execution: RBD Engineers executed the action plans, implementing the proposed solutions to overcome work safety and space management challenges. The implementation process involved:
    • Safety Training Program: Conducting safety training sessions for all employees, covering topics such as hazard identification, safe work practices, and proper use of safety equipment.
    • Safety Equipment Upgrades: Procurement and distribution of high-quality safety equipment, ensuring that employees had access to appropriate protective gear and guards.
    • Safety Compliance Measures: Enforcing safety compliance through regular inspections, audits, and the establishment of reporting mechanisms for potential safety concerns.
    • Workspace Redesign: Redesigning the workspace layout to optimize material flow, reduce congestion, and eliminate bottlenecks, resulting in increased efficiency.
    • Efficient Storage Systems: Implementing effective storage solutions, such as labeled shelves, bins, and racks, to organize tools, materials, and equipment, enhancing accessibility and reducing wasted time.
    • Visual Management Implementation: Utilizing visual aids, such as floor markings, signage, and color-coded systems, to clearly indicate work areas, storage locations, and safety zones.

Computed, not measured: a 2-piece molecular cluster, C4H7O4P overall at a distorted geometry, with ωB97M-V with the def2-TZVPD basis set.

Values from the calculation:
- energy above the lowest of the compared OMol25 structures with the same formula, charge and spin (kJ/mol) = 87.3
- HOMO-LUMO gap (eV) = 9.74
- multiplicity = 1

XYZ file:
```
16
Properties=species:S:1:pos:R:3:forces:R:3
C 2.998024 -0.378642 -0.384412 1.595 0.748 -0.136
C 1.275980 1.905669 0.892252 0.450 -1.984 1.073
C -2.642686 -0.439063 -0.352970 -0.078 -0.700 0.626
C -1.206046 -0.809508 -0.506161 0.004 -2.450 -2.794
O 3.823313 0.033882 0.289911 1.140 0.207 1.494
O 0.751928 -0.836410 1.485365 0.538 -1.562 1.656
O 2.261409 -0.710939 -1.186089 -2.082 -1.210 -1.598
O -0.413298 0.345137 -0.411739 0.654 0.607 0.573
P 0.617305 0.407372 0.785132 -0.621 2.795 -1.564
H 2.105401 1.942891 1.601150 -0.318 0.413 -0.283
H 1.192807 2.516252 0.034861 -0.193 0.773 -0.486
H -2.790788 -0.494194 0.714400 -0.838 0.306 0.393
H -2.764592 0.568208 -0.699377 -0.314 0.474 -0.206
H -3.338502 -1.116511 -0.867805 0.329 0.187 0.203
H -1.028268 -1.302774 -1.496796 -0.041 1.011 0.202
H -0.841991 -1.631365 0.102282 -0.226 0.384 0.848
```
Forces are in eV/Å.

Computed, not measured: CHF3N2 as an isolated structure at a distorted geometry, with ωB97M-V with the def2-TZVPD basis set.

Values from the calculation:
- energy above the lowest of the compared OMol25 structures with the same formula, charge and spin (kJ/mol) = 835.7
- HOMO-LUMO gap (eV) = 9.68
- multiplicity = 1

XYZ file:
```
7
Properties=species:S:1:pos:R:3:forces:R:3
C -0.249048 1.838817 1.242499 -4.090 2.827 1.506
N 0.011811 0.755221 1.552243 0.764 0.639 -0.510
N 0.301604 -1.527739 -0.686392 -0.417 -4.343 -0.215
F -1.100550 2.960768 1.300318 3.358 -3.321 -0.736
F 1.619046 -1.222097 -1.069375 -0.662 -0.950 -0.729
F -0.274772 -0.365353 -0.862592 -1.596 1.503 -1.086
H -0.308091 -2.439617 -1.476700 2.644 3.646 1.770
```
Forces are in eV/Å.

Computed, not measured: a 10-piece molecular cluster, C40H80O30 overall at a distorted geometry, with ωB97M-V with the def2-TZVPD basis set.

Values from the calculation:
- SMILES string = CCOC(=O)OC.CCOC(=O)OC.CCOC(=O)OC.CCOC(=O)OC.CCOC(=O)OC.CCOC(=O)OC.CCOC(=O)OC.CCOC(=O)OC.CCOC(=O)OC.CCOC(=O)OC
- energy above the lowest of the compared OMol25 structures with the same formula, charge and spin (kJ/mol) = 357.4
- HOMO-LUMO gap (eV) = 11.01
- multiplicity = 1

XYZ file:
```
150
Properties=species:S:1:pos:R:3:forces:R:3
C 17.155099 -10.335019 -9.283329 -0.249 -2.320 0.951
C 17.699043 -10.628808 -10.639290 -1.947 -0.069 -2.338
O 18.663757 -11.669914 -10.678191 1.331 -0.155 0.210
C 19.136456 -12.108846 -11.878069 -2.323 0.644 0.165
O 18.646304 -11.817033 -12.946275 0.400 0.326 0.407
O 20.088021 -12.988660 -11.693438 0.995 0.238 0.075
C 20.872920 -13.161039 -12.922315 -0.862 -1.178 1.165
H 16.720933 -11.251742 -8.771762 0.289 0.926 -0.790
H 16.380258 -9.596857 -9.418806 -0.113 0.378 0.283

Project Implemented: LEAN Manufacturing Practices

Results of Lean Manufacturing

Data records from another source follow =
-- begin --
1.
Density functional theory data (the ωB97M-V functional and the def2-TZVPD basis) for 2 unconnected molecules or ions with the total composition C2H5F3OP.

Properties
Kohn-Sham gap: 0.4128 hartree
HOMO energy: -16.561 eV
Total energy: -795.12936 hartree

```
! wB97M-V def2-TZVPD RIJCOSX def2/J DEFGRID3
* xyz 1 1
C -1.815 -0.137 0.803
C 0.398 0.615 0.691
O -0.811 0.786 0.692
F 1.593 -1.561 -2.227
F 2.571 -0.395 -0.489
F 0.619 0.364 -1.478
P 2.205 -0.080 -1.942
H -2.377 0.229 1.614
H -1.672 -1.268 0.967
H -2.537 0.065 -0.044
H 1.016 -0.277 0.791
H 0.810 1.660 0.621
*
```

2.
Density functional theory data (the ωB97M-V functional and the def2-TZVPD basis) for a molecular structure, C29H21Cl5N5OV.

Properties
⟨S²⟩: 3.78
Kohn-Sham gap (alpha / beta): 0.2407 / 0.2747 hartree
HOMO energy (alpha / beta): -9.714 / -10.968 eV
Total energy: -4711.60404 hartree

```
! wB97M-V def2-TZVPD RIJCOSX def2/J DEFGRID3
* xyz 1 4
V 0.216 0.179 0.431
C -1.261 2.981 -0.993
C -2.017 2.333 0.129
C -3.212 2.915 0.540
C -3.990 2.288 1.492
C -3.559 1.079 2.004
C -2.344 0.563 1.586
N -1.556 1.195 0.676
C -1.826 -0.724 2.059
C -2.466 -1.604 2.915
C -1.818 -2.774 3.282
C -0.553 -3.047 2.780
C 0.026 -2.147 1.900
N -0.615 -1.017 1.549
C 1.293 -2.340 1.186
C 2.094 -3.453 1.383
C 3.202 -3.633 0.578
C 3.439 -2.721 -0.430
C 2.601 -1.621 -0.587
C 2.829 -0.719 -1.762
N 1.571 -1.393 0.251
H -0.640 3.798 -0.622
H -1.962 3.398 -1.715
H -0.629 2.265 -1.504
H -3.532 3.847 0.095
H -4.932 2.717 1.804
H -4.152 0.554 2.738
H -3.452 -1.383 3.298
H -2.298 -3.475 3.950
H -0.038 -3.954 3.059
H 1.855 -4.173 2.151
H 3.841 -4.496 0.703
H 4.266 -2.859 -1.112
H 3.544 0.065 -1.515
H 1.896 -0.260 -2.077
H 3.236 -1.288 -2.597
N -3.165 -2.603 -5.720
C -3.217 -3.006 -4.431
O -3.886 -3.945 -4.055
C -2.386 -2.225 -3.436
C -1.612 -1.107 -3.714
C -0.916 -0.498 -2.684
N -0.937 -0.920 -1.418
C -1.682 -2.002 -1.158
C -2.412 -2.671 -2.120
H -3.713 -3.113 -6.393
H -2.610 -1.833 -6.038
H -1.530 -0.689 -4.708
H -0.313 0.379 -2.894
H -1.701 -2.355 -0.137
H -3.007 -3.540 -1.877
Cl 1.851 2.041 -0.368
C 1.997 2.031 1.359
C 1.135 1.141 1.978
C 1.216 1.162 3.375
Cl 0.197 0.150 4.342
C 2.103 1.992 4.067
Cl 2.159 1.978 5.785
C 2.958 2.846 3.370
Cl 4.055 3.863 4.205
C 2.904 2.871 1.981
Cl 3.926 3.908 1.068
*
```

3.
Density functional theory data (the ωB97M-V functional and the def2-TZVPD basis) for C5H8O in the gas phase.

Properties
Kohn-Sham gap: 0.3960 hartree
HOMO energy: -9.725 eV
Total energy: -270.51554 hartree

```
! wB97M-V def2-TZVPD RIJCOSX def2/J DEFGRID3
* xyz 0 1
C -0.049 -0.545 -1.730
C -0.859 0.297 -1.097
C -0.590 0.959 0.230
C 0.649 0.436 0.955
C 0.593 -1.056 1.220
O -0.419 -1.651 1.500
H -0.335 -1.017 -2.666
H 0.929 -0.820 -1.338
H -1.826 0.528 -1.542
H -0.492 2.044 0.083
H -1.467 0.815 0.871
H 1.571 0.679 0.415
H 0.727 0.922 1.939
H 1.567 -1.591 1.160
*
```

4.
Density functional theory data (the ωB97M-V functional and the def2-TZVPD basis) for a molecular structure, C7H7N4PtSTe4.

Properties
-- stop --

Through the implementation approach outlined above, RBD Engineers achieved remarkable improvements, resulting in a total benefit exceeding 3,00,000 implementations in the company. Work safety significantly improved, leading to a reduction in accidents, injuries, and associated costs. Compliance with safety regulations increased, enhancing employee well-being and reducing potential liabilities. The optimized space utilization and efficient storage systems improved productivity, reduced material waste, and lowered operational costs. These collective benefits contributed to the overall improvement in the company's financial performance.

-- Someone pasted calculated molecules at this point --
(1)
Here is a molecular structure, C16H16BO2SbSe4V at a distorted geometry from the Open Molecules 2025 dataset. Energies are from ωB97M-V with the def2-TZVPD basis set.

Geometry as XYZ:
```
41
Properties=species:S:1:pos:R:3:nbo_charge:R:1
V -0.81 -1.75 -0.64 0.01
Se -3.01 -5.71 -1.87 -0.65
Sb -1.03 -4.48 -1.33 1.02
Se -1.55 -3.11 0.95 -0.15
Se -0.79 -2.40 -2.88 -0.30
Se 1.02 -5.71 -1.08 -0.67
O -1.79 1.24 -0.51 -0.65
B -1.98 -0.14 -0.43 0.83
O -3.36 -0.41 -0.52 -0.67
C -3.98 0.80 -0.68 0.30
C -5.32 1.07 -0.84 -0.27
C -5.67 2.41 -1.01 -0.22
C -4.71 3.42 -1.01 -0.23
C -3.36 3.13 -0.84 -0.24
C -3.02 1.81 -0.68 0.21
H -6.07 0.29 -0.85 0.23
H -6.71 2.67 -1.15 0.21
H -5.03 4.44 -1.15 0.21
H -2.61 3.90 -0.84 0.22
C 2.93 -2.18 -0.21 -0.60
C 2.04 -1.20 0.57 -0.18
C 1.74 -1.80 1.95 -0.59
C 0.80 -1.01 -0.28 -0.33
C 2.70 0.16 0.77 0.01
C 4.00 0.45 0.34 -0.22
C 4.55 1.71 0.53 -0.21
C 3.81 2.72 1.13 -0.23
C 2.52 2.45 1.55 -0.23
C 1.97 1.19 1.37 -0.15
H 2.44 -3.15 -0.28 0.25
H 3.89 -2.34 0.30 0.20
H 3.12 -1.82 -1.22 0.21
H 1.31 -2.79 1.84 0.23
H 1.05 -1.18 2.51 0.21
H 2.67 -1.90 2.52 0.20
H 0.98 -0.29 -1.09 0.21
H 4.60 -0.32 -0.13 0.22
H 5.56 1.90 0.20 0.20
H 4.24 3.70 1.26 0.20
H 1.93 3.23 2.03 0.21
H 0.96 0.99 1.70 0.21
```

Summary:
LUMO = 1.694 eV
Kohn-Sham gap = 6.52 eV
total charge = -1

(2)
Here is 4 unconnected molecules or ions with the total composition C12H24O4 at a distorted geometry from the Open Molecules 2025 dataset. Energies are from ωB97M-V with the def2-TZVPD basis set.

Geometry as XYZ:
```
40
Properties=species:S:1:pos:R:3:nbo_charge:R:1
C -30.48 -9.18 -12.63 -0.72
C -29.86 -10.04 -13.71 0.60
O -30.16 -10.01 -14.86 -0.54
C -28.59 -10.84 -13.38 -0.72
H -31.18 -8.48 -13.10 0.24
H -29.70 -8.51 -12.28 0.23
H -30.96 -9.76 -11.84 0.24
H -28.15 -10.40 -12.49 0.21
H -27.83 -10.94 -14.16 0.23
H -28.76 -11.88 -13.12 0.23
C -23.60 -6.66 -12.03 -0.68
C -22.77 -7.09 -10.79 0.64
O -22.42 -6.31 -9.93 -0.05
C -22.37 -8.58 -10.79 -0.68
H -23.10 -5.86 -12.56 0.28
H -24.66 -6.47 -11.86 0.31
H -23.69 -7.51 -12.71 0.28
H -21.78 -9.00 -9.98 0.28
H -21.72 -8.74 -11.65 0.32
H -23.27 -9.18 -10.99 0.29
C -26.41 -9.08 -16.45 -0.72
C -25.78 -8.39 -15.25 0.60
O -26.39 -8.40 -14.14 -0.58
C -24.39 -7.76 -15.42 -0.74
H -26.02 -8.56 -17.33 0.22
H -27.49 -9.12 -16.34 0.27
H -26.02 -10.10 -16.52 0.25
H -24.15 -7.78 -16.48 0.23
H -23.58 -8.31 -14.94 0.24
H -24.15 -6.77 -15.04 0.23
C -19.83 -5.85 -13.56 -0.73
C -20.42 -7.04 -14.37 0.63
O -20.77 -8.10 -13.86 -0.60
C -20.55 -6.80 -15.98 -0.72
H -18.87 -5.79 -14.07 0.25
H -19.58 -6.17 -12.55 0.23
H -20.48 -4.98 -13.60 0.24
H -21.04 -7.69 -16.38 0.24
H -19.51 -6.79 -16.30 0.24
H -21.08 -5.89 -16.25 0.23
```

Summary:
2S+1 = 2
LUMO (alpha / beta) = -5.249 / -9.103 eV
Kohn-Sham gap (alpha / beta) = 5.89 / 2.04 eV
total charge = +1

(3)
Here is C4H10O in the gas phase from the Open Molecules 2025 dataset. Energies are from ωB97M-V with the def2-TZVPD basis set.

Geometry as XYZ:
```
15
Properties=species:S:1:pos:R:3:nbo_charge:R:1

RBD Engineers implementation approach, driven by lean manufacturing principles, effectively addressed the work safety and space management challenges they faced. By focusing on continuous improvement and leveraging employee involvement, RBD Engineers created a safer work environment, optimized space utilization, and achieved substantial financial gains. This successful implementation serves as an example of how lean manufacturing principles can bring about significant improvements and contribute to the long-term success of an organization.